== Job ==
Could you quote the part of the material below that starts with the line with "data_Pr2Y2ErTm4" and stops after the one with "_cell_length_b 3.7593"?

== Data ==
____________
1.
# Mg5CdIn2Ni2 GGA-PBE optimized geometry
data_Mg5CdIn2Ni2
_symmetry_space_group_name_H-M 'P 4/m b m'
_symmetry_Int_Tables_number 127
_symmetry_space_group_name_Hall '-P 4 2ab'
_cell_length_a 9.6857
_cell_length_b 9.6857
_cell_length_c 4.1444
_cell_angle_alpha 90.00
_cell_angle_beta 90.00
_cell_angle_gamma 90.00
loop_
_atom_site_label
_atom_site_fract_x
_atom_site_fract_y
_atom_site_fract_z
Mg1 0.0000 0.5000 0.0000
Mg2 0.0772 0.2107 0.0000
Cd1 0.0000 0.0000 0.5000
In1 0.1721 0.6721 0.5000
Ni1 0.1185 0.3815 0.5000
# Formation energy from the elements in eV/atom: -0.087


2.
# SmScCoCu GGA-PBE optimized geometry
data_SmScCoCu
_symmetry_space_group_name_H-M 'F -4 3 m'
_symmetry_Int_Tables_number 216
_symmetry_space_group_name_Hall 'F -4 2 3'
_cell_length_a 6.6868
_cell_length_b 6.6868
_cell_length_c 6.6868
_cell_angle_alpha 90.00
_cell_angle_beta 90.00
_cell_angle_gamma 90.00
loop_
_atom_site_label
_atom_site_fract_x
_atom_site_fract_y
_atom_site_fract_z
Sm1 0.0000 0.0000 0.0000
Sc1 0.0000 0.0000 0.5000
Co1 0.2500 0.2500 0.7500
Cu1 0.2500 0.2500 0.2500
# Formation energy from the elements in eV/atom: -0.152


3.
# La2Tb6Pm3Y GGA-PBE optimized geometry
data_La2Tb6Pm3Y
_symmetry_space_group_name_H-M 'C 1 2/m 1'
_symmetry_Int_Tables_number 12
_cell_length_a 6.2715
_cell_length_b 10.8609
_cell_length_c 11.9448
_cell_angle_alpha 90.00
_cell_angle_beta 100.06
_cell_angle_gamma 90.00
loop_
_symmetry_equiv_pos_as_xyz
'x,y,z'
'-x,-y,-z'
'-x,y,-z'
'x,-y,z'
'x+1/2,y+1/2,z'
'-x+1/2,-y+1/2,-z'
'-x+1/2,y+1/2,-z'
'x+1/2,-y+1/2,z'
loop_
_atom_site_label
_atom_site_fract_x
_atom_site_fract_y
_atom_site_fract_z
La1 0.0000 0.1663 0.0000
Tb1 0.2486 0.5000 0.7481
Tb2 0.2497 0.1664 0.7484
Pm1 0.0000 0.0000 0.5000
Pm2 0.0000 0.3334 0.5000
Y1 0.0000 0.5000 0.0000
# Formation energy from the elements in eV/atom: 0.015


4.
# Pr2Y2ErTm4 GGA-PBE optimized geometry
data_Pr2Y2ErTm4
_symmetry_space_group_name_H-M 'C 1 2/m 1'
_symmetry_Int_Tables_number 12
_cell_length_a 18.6237
_cell_length_b 3.5906
_cell_length_c 9.5381
_cell_angle_alpha 90.00
_cell_angle_beta 115.74
_cell_angle_gamma 90.00
loop_
_symmetry_equiv_pos_as_xyz
'x,y,z'
'-x,-y,-z'
'-x,y,-z'
'x,-y,z'
'x+1/2,y+1/2,z'
'-x+1/2,-y+1/2,-z'
'-x+1/2,y+1/2,-z'
'x+1/2,-y+1/2,z'
loop_
_atom_site_label
_atom_site_fract_x
_atom_site_fract_y
_atom_site_fract_z
Pr1 0.1649 0.0000 0.0014
Y1 0.1462 0.5000 0.6612
Er1 0.0000 0.5000 0.0000
Tm1 0.0197 0.0000 0.3344
Tm2 0.1850 0.5000 0.3375
# Formation energy from the elements in eV/atom: 0.001


5.
# HoGeSe3 GGA-PBE optimized geometry
data_HoGeSe3
_symmetry_space_group_name_H-M 'A m a 2'
_symmetry_Int_Tables_number 40
_cell_length_a 4.4131
_cell_length_b 22.5592
_cell_length_c 6.4834
_cell_angle_alpha 90.00
_cell_angle_beta 90.00
_cell_angle_gamma 90.00
loop_
_symmetry_equiv_pos_as_xyz
'x,y,z'
'-x,-y,z'
'-x+1/2,y,z'
'x+1/2,-y,z'
'x,y+1/2,z+1/2'
'-x,-y+1/2,z+1/2'
'-x+1/2,y+1/2,z+1/2'
'x+1/2,-y+1/2,z+1/2'
loop_
_atom_site_label
_atom_site_fract_x
_atom_site_fract_y
_atom_site_fract_z
Ho1 0.2500 0.1731 0.0000
Ge1 0.2500 0.3811 0.9230
Se1 0.2500 0.0797 0.3000
Se2 0.2500 0.2797 0.7549
Se3 0.2500 0.3816 0.3004
# Offset from the most stable computed form in eV/atom: 0.000
# Raw formation energy in meV per atom: -980


6.
# MnSbAu2 GGA-PBE optimized geometry
data_MnSbAu2
_symmetry_space_group_name_H-M 'P m m m'
_symmetry_Int_Tables_number 47
_cell_length_a 3.5725
_cell_length_b 3.7593
_cell_length_c 5.7809
_cell_angle_alpha 90.00
_cell_angle_beta 90.00
_cell_angle_gamma 90.00
loop_
_symmetry_equiv_pos_as_xyz
'x,y,z'
'-x,-y,-z'
'-x,-y,z'
'x,y,-z'
'x,-y,-z'
'-x,y,z'
'-x,y,-z'
'x,-y,z'
loop_
_atom_site_label
_atom_site_fract_x
_atom_site_fract_y
_atom_site_fract_z
Mn1 0.0000 0.0000 0.0000
Sb1 0.0000 0.0000 0.5000
Au1 0.5000 0.5000 0.2361
# Raw formation energy in meV per atom: 40
____________

== Result ==
data_Pr2Y2ErTm4
_symmetry_space_group_name_H-M 'C 1 2/m 1'
_symmetry_Int_Tables_number 12
_cell_length_a 18.6237
_cell_length_b 3.5906
_cell_length_c 9.5381
_cell_angle_alpha 90.00
_cell_angle_beta 115.74
_cell_angle_gamma 90.00
loop_
_symmetry_equiv_pos_as_xyz
'x,y,z'
'-x,-y,-z'
'-x,y,-z'
'x,-y,z'
'x+1/2,y+1/2,z'
'-x+1/2,-y+1/2,-z'
'-x+1/2,y+1/2,-z'
'x+1/2,-y+1/2,z'
loop_
_atom_site_label
_atom_site_fract_x
_atom_site_fract_y
_atom_site_fract_z
Pr1 0.1649 0.0000 0.0014
Y1 0.1462 0.5000 0.6612
Er1 0.0000 0.5000 0.0000
Tm1 0.0197 0.0000 0.3344
Tm2 0.1850 0.5000 0.3375
# Formation energy from the elements in eV/atom: 0.001


5.
# HoGeSe3 GGA-PBE optimized geometry
data_HoGeSe3
_symmetry_space_group_name_H-M 'A m a 2'
_symmetry_Int_Tables_number 40
_cell_length_a 4.4131
_cell_length_b 22.5592
_cell_length_c 6.4834
_cell_angle_alpha 90.00
_cell_angle_beta 90.00
_cell_angle_gamma 90.00
loop_
_symmetry_equiv_pos_as_xyz
'x,y,z'
'-x,-y,z'
'-x+1/2,y,z'
'x+1/2,-y,z'
'x,y+1/2,z+1/2'
'-x,-y+1/2,z+1/2'
'-x+1/2,y+1/2,z+1/2'
'x+1/2,-y+1/2,z+1/2'
loop_
_atom_site_label
_atom_site_fract_x
_atom_site_fract_y
_atom_site_fract_z
Ho1 0.2500 0.1731 0.0000
Ge1 0.2500 0.3811 0.9230
Se1 0.2500 0.0797 0.3000
Se2 0.2500 0.2797 0.7549
Se3 0.2500 0.3816 0.3004
# Offset from the most stable computed form in eV/atom: 0.000
# Raw formation energy in meV per atom: -980


6.
# MnSbAu2 GGA-PBE optimized geometry
data_MnSbAu2
_symmetry_space_group_name_H-M 'P m m m'
_symmetry_Int_Tables_number 47
_cell_length_a 3.5725
_cell_length_b 3.7593